### Exercise
Your job: repeat the part of the contents further down that starts with the line with "0.942 0.657" and stops after the one with "0.098 0.673".
### Input
No. 1
Crystalline CdH16PtC10O10 at its relaxed geometry. Source: OQMD, functional GGA-PBE.

Values from the calculation:
As for the raw total energy: -0.21865 hartree per atom. The calculation puts the total moment at 0.0 μB/cell. Its volume is 352 Å³/f.u. As for the crystal system: triclinic.

Cell: 8.327 8.695 10.354 Å, 83.13 74.96 77.36°
Element x y z (fractional)
C1 0.942 0.657 0.181
H1 0.858 0.771 0.173
Pt1 0.300 0.850 0.311
H2 0.259 0.936 0.968
O1 0.556 0.143 0.879
C2 0.420 0.217 0.560
H3 0.363 0.133 0.106
H4 0.920 0.891 0.704
O2 0.897 0.186 0.754
C3 0.673 0.248 0.164
H5 0.878 0.049 0.141
H6 0.826 0.711 0.476
H7 0.808 0.756 0.961
C4 0.434 0.259 0.916
H8 0.225 0.082 0.576
O3 0.595 0.615 0.159
C5 0.981 0.766 0.698
H9 0.670 0.004 0.206
H10 0.320 0.153 0.413
O4 0.540 0.648 0.472
O5 0.843 0.403 0.469
C6 0.726 0.818 0.482
C7 0.098 0.673 0.220
O6 0.103 0.814 0.246
O7 0.157 0.597 0.531
H11 0.330 0.996 0.794
H12 0.301 0.535 0.889
H13 0.046 0.729 0.780
H14 0.877 0.578 0.258
H15 0.979 0.601 0.086
H16 0.122 0.951 0.859
O8 0.153 0.861 0.499
C8 0.580 0.783 0.440
H17 0.123 0.422 0.742
H18 0.699 0.465 0.111
H19 0.741 0.064 0.032
H20 0.637 0.867 0.894
H21 0.887 0.692 0.711
H22 0.080 0.109 0.296
O9 0.760 0.350 0.087
C9 0.327 0.752 0.836
O10 0.240 0.650 0.913
C10 0.106 0.736 0.566
H23 0.021 0.399 0.914
H24 0.192 0.244 0.039
C11 0.566 0.741 0.084
C12 0.255 0.920 0.866
Pt2 0.700 0.150 0.689
H25 0.142 0.229 0.827
C13 0.320 0.243 0.051
O11 0.458 0.711 0.748
C14 0.680 0.757 0.949
H26 0.113 0.308 0.289
O12 0.790 0.450 0.773
O13 0.847 0.139 0.501
Cd1 0.398 0.526 0.356
O14 0.444 0.857 0.121
O15 0.499 0.108 0.629
O16 0.501 0.892 0.371
C15 0.274 0.182 0.518
O17 0.542 0.289 0.252
H27 0.309 0.346 0.107
H28 0.691 0.654 0.893
O18 0.460 0.352 0.528
H29 0.174 0.289 0.524
H30 0.680 0.847 0.587
C16 0.019 0.234 0.302
O19 0.405 0.385 0.841
H31 0.775 0.918 0.424
H32 0.954 0.271 0.220
O20 0.210 0.550 0.227
C17 0.902 0.327 0.780
C18 0.894 0.264 0.434
Cd2 0.602 0.474 0.644
C19 0.058 0.343 0.819
C20 0.745 0.080 0.134



No. 2
Crystalline CdH34C18S4O2 at its relaxed geometry. Source: OQMD, functional GGA-PBE.

Values from the calculation:
As for the raw total energy: -0.19928 hartree per atom. Its volume is 579 Å³/f.u. As for the crystal system: monoclinic.

Cell: 5.664 5.664 18.735 Å, 92.00 92.00 74.51°
Element x y z (fractional)
S1 0.381 0.571 0.895
C1 0.040 0.383 0.446
O1 0.901 0.571 0.125
C2 0.323 0.261 0.636
H1 0.646 0.501 0.455
H2 0.431 0.602 0.305
H3 0.567 0.914 0.237
C3 0.310 0.305 0.909
C4 0.633 0.102 0.829
H4 0.168 0.218 0.606
C5 0.478 0.758 0.333
H5 0.585 0.782 0.774
H6 0.882 0.951 0.705
S2 0.086 0.286 0.965
C6 0.242 0.522 0.667
H7 0.490 0.125 0.310
C7 0.179 0.057 0.251
H8 0.218 0.415 0.226
H9 0.049 0.118 0.295
H10 0.180 0.340 0.404
C8 0.695 0.690 0.091
H11 0.769 0.167 0.862
H12 0.779 0.932 0.521
C9 0.157 0.265 0.199
H13 0.368 0.130 0.680
C10 0.617 0.960 0.554
H14 0.398 0.569 0.695
Cd1 0.167 0.833 0.000
H15 0.499 0.354 0.545
C11 0.030 0.561 0.718
C12 0.543 0.218 0.588
H16 0.076 0.532 0.480
H17 0.127 0.904 0.223
C13 0.739 0.677 0.364
H18 0.870 0.632 0.320
H19 0.096 0.873 0.777
H20 0.745 0.301 0.382
S3 0.714 0.914 0.035
H21 0.782 0.832 0.394
S4 0.429 0.619 0.105
H22 0.086 0.433 0.763
H23 0.875 0.510 0.690
H24 0.833 0.231 0.138
C14 0.782 0.457 0.412
O2 0.429 0.099 0.875
H25 0.800 0.720 0.846
C15 0.439 0.970 0.282
C16 0.735 0.843 0.801
H26 0.564 0.233 0.787
H27 0.468 0.924 0.520
H28 0.068 0.221 0.479
H29 0.660 0.820 0.596
H30 0.767 0.436 0.213
H31 0.189 0.652 0.623
C17 0.898 0.367 0.171
H32 0.348 0.811 0.377
H33 0.280 0.200 0.154
H34 0.699 0.255 0.618
C18 0.943 0.821 0.749



No. 3
Crystalline CdH10C2S2O8 at its relaxed geometry. Source: OQMD, functional GGA-PBE.

Values from the calculation:
As for the raw total energy: -0.19230 hartree per atom. Its volume is 215 Å³/f.u. As for the crystal system: triclinic.

Cell: 4.627 5.989 7.788 Å, 89.64 86.94 85.25°
Element x y z (fractional)
O1 0.317 0.479 0.728
H1 0.122 0.663 0.428
Cd1 0.000 0.000 0.000
### Response
C1 0.942 0.657 0.181
H1 0.858 0.771 0.173
Pt1 0.300 0.850 0.311
H2 0.259 0.936 0.968
O1 0.556 0.143 0.879
C2 0.420 0.217 0.560
H3 0.363 0.133 0.106
H4 0.920 0.891 0.704
O2 0.897 0.186 0.754
C3 0.673 0.248 0.164
H5 0.878 0.049 0.141
H6 0.826 0.711 0.476
H7 0.808 0.756 0.961
C4 0.434 0.259 0.916
H8 0.225 0.082 0.576
O3 0.595 0.615 0.159
C5 0.981 0.766 0.698
H9 0.670 0.004 0.206
H10 0.320 0.153 0.413
O4 0.540 0.648 0.472
O5 0.843 0.403 0.469
C6 0.726 0.818 0.482
C7 0.098 0.673 0.220